Avoid query each time the page is loaded - caching

I work on an educational website in which we show dynamic filters. What does this mean? We now have several course categories that will increase in number in the following weeks.
Right now categories are a string field in each course. I'm planning to model this and create a Categories table. Having done this, it would be pretty easy to load the filters based on the categories we have on the database. However, I see the problem that each time the website is loaded, the query will be made.
I thought of caching these categories but I'm guessing is not the best solution.
Any idea on how can I avoid these queries each time but get this information from the database?


Solr for the showing product card data on the product listing page(PLP) on e-commerce application rather than going to database

The article is interrupted by quantum chemistry results.
1.
C29H30Cl3F3GeN10O6PSbScTe as an isolated structure, computed with ωB97M-V/def2-TZVPD.

- Spin multiplicity: 2
- Energy above the lowest of the compared OMol25 structures with the same formula, charge and spin: 35.7 kcal per mole
- Calculated total energy: -203812.7488 eV
- E_HOMO (alpha / beta): -3.4 / -3.7 eV
- Charge: -2
- <S²>: 0.75
- Lowest unoccupied orbital energy (alpha / beta): 3.8 / 3.0 eV
- Max |F|: 0.0344 hartree/bohr
- Frontier orbital gap (alpha / beta): 7.151 / 6.630 eV

Geometry (Å):
Sc  -0.54563  -0.90000  0.86906
C  -1.68027  3.08413  3.13786
C  -0.89876  1.84401  3.58320
C  -0.35064  2.01047  4.99293
O  -1.73765  0.70923  3.59287
C  0.26975  1.69545  2.57773
O  1.11517  2.57725  2.56940
O  0.27388  0.68222  1.76517
H  -2.54077  3.23883  3.79098
H  -2.02988  2.97047  2.10875
H  -1.02292  3.95130  3.17960
H  -1.13520  2.37647  5.65618
H  0.47755  2.71558  4.97362
H  -0.00310  1.04687  5.36787
H  -2.25475  0.70792  2.78087
N  -4.21769  0.40921  1.01397
C  -3.93615  -0.84447  1.49653
N  -4.87773  -1.71493  1.85272
N  -4.21492  -2.77639  2.28599
N  -2.94875  -2.55326  2.21628
N  -2.70777  -1.32103  1.71048
C  -3.31682  1.06603  0.19471
N  -3.66948  2.03292  -0.63916
N  -2.52016  2.41983  -1.19997
N  -1.54035  1.72926  -0.73184
N  -1.99954  0.84274  0.17926
H  -5.18718  0.57012  0.79253
Cl  -0.06841  -2.16140  6.51060
Ge  -1.45098  -2.15112  4.69733
Cl  0.23250  -1.94185  3.13688
Cl  -1.43992  -4.54145  4.26318
C  -5.80253  -2.36587  -1.27215
C  -4.32634  -2.31030  -1.61318
O  -3.63778  -3.25619  -0.78146
P  -2.02606  -3.19091  -0.68242
O  -1.55891  -1.76409  -0.75591
Te  -1.40696  -4.48516  1.23524
O  -1.57463  -3.79371  -2.11191
C  -1.81679  -5.16184  -2.42213
C  -1.47104  -5.36305  -3.88500
H  -6.34978  -1.60644  -1.83188
H  -5.93027  -2.19377  -0.20589
H  -6.20044  -3.35300  -1.51044
H  -3.91615  -1.31009  -1.44677
H  -4.15285  -2.56411  -2.66515
H  -2.86453  -5.41263  -2.22310
H  -1.19247  -5.79357  -1.78193
H  -2.15122  -4.78738  -4.51274
H  -1.53499  -6.41800  -4.15136
H  -0.45613  -5.00905  -4.06293
F  4.54241  5.81575  -4.60885
C  3.93152  4.99279  -3.71062
C  3.82381  3.64871  -3.99960
C  3.19464  2.81733  -3.07999
C  2.67822  3.31194  -1.88711
C  2.80515  4.67969  -1.64580
C  3.43590  5.53195  -2.54197
Sb  1.52932  2.18780  -0.36079
C  3.37109  1.81317  0.75965
C  3.52891  0.63931  1.49218
C  4.62249  0.46074  2.32795
C  5.55294  1.47335  2.42659
F  6.63996  1.30259  3.22988
C  5.42375  2.65854  1.73362
C  4.31980  2.81941  0.90614
C  1.74264  0.40487  -1.58971
C  0.65968  -0.03001  -2.35076
C  0.77063  -1.13749  -3.18201
C  1.97715  -1.79744  -3.24314
F  2.09407  -2.87605  -4.05932
C  3.08357  -1.37252  -2.53463
C  2.95465  -0.27276  -1.70380
H  4.21609  3.26622  -4.93323
H  3.10307  1.76283  -3.30838
H  2.38955  5.08828  -0.72974
H  3.52955  6.59367  -2.35297
H  2.78454  -0.14591  1.43099
H  4.74219  -0.44219  2.91169
H  6.16585  3.43720  1.85429
H  4.19797  3.74773  0.36253
H  -0.27504  0.51453  -2.31767

I am working on an e-commerce application on which we are predicting around 2 millions products.
We are using Solr for searching, suggestions and filtering.
But for showing the product card data(which has detail like name, image, price, discount and rating) on the Product Listing page(PLP), we are going to Database after fetching the product ids from the Solr.
For E.g:
User went on the our e-commerce application and there on the search box typed "I phone 13 pro".
While user was typing we are showing suggestions to him/her after fetching it from the solr, no db involved yet.
After that user either click or hit enter then we are showing the Product listing page where we first reaching to the solr and fetching the product ids(say 24 per page we are showing) matching the entered text and then we are going to the DB with these ids and fetching the product objects and passing it to the UI with the necessary detail(using DTO object).
Now my question here is:
As I mentioned above we are hitting DB for the Product Listing Page(PLP) for fetching 24 product per page, here I am thinking it may slow down the page when our catalog and user started increasing?
Note:- we are also using Hibernate h2 level caching to stop hitting DB again and again for the same product but cache has limit up to 0.5 million.
Why we are hitting to DB instead of fetching everything from the Solr as we have all product data info which we wanted to show above on the PLP page?
Ans- As we are now keeping important fields of the product object in the Solr not all fields, So we are thinking may be in future we wanted to show something which we don't have in the Solr then we have to Re-index the full catalog to add new field into it and it may be very time-consuming.
I am in a favour of using Solr for showing PLP page instead of going to DB.Of course keeping Re-indexing in mind but not sure it is the best approach or not?
Please provide your suggestion or thoughts on this.
Thanks in advance.

What is the best way to get all eloquent model instances meeting multiple requirements inside different relations

I have multiple Orders which have related Payments and related InvoiceCorrections.
I want to fetch all orders where the
order->payments->sum('amount')differs from(order->amount - order->invoiceCorrections->sum('amount')).
What would be the best way to archive this, while keeping a good performance?
The payments should have their own column containing correction information which gets updated via a model observer, otherwise your queries are going to get very complex and messy very fast.

[1]
15
Properties=species:S:1:pos:R:3:lowdin_charge:R:1 method="wB97M-V/def2-TZVPD" lumo_energy_ev=-9.1 homo_lumo_gap_ev=3.762 homo_energy_ev=-12.882 total_charge=+1
C -1.6439 -0.4790 1.1837 -0.018
C -1.9849 0.7771 0.4030 -0.200
C -1.0908 0.7816 -0.8361 -0.111
C -0.0482 -0.0018 -1.0964 0.338
N 3.7304 -0.9323 -0.2114 0.023
H -0.6953 -0.8139 0.5218 0.108
H -1.3549 -0.2883 2.2183 0.101
H -2.5295 -1.0721 1.2181 0.088
H -3.0728 0.8057 0.2111 0.138
H -1.6121 1.6918 0.9759 0.157
H -1.3573 1.6610 -1.4591 0.177
H 0.5804 0.1014 -2.0544 0.161
H 2.6622 -0.8602 -0.0499 0.032
H 4.0126 -1.0349 -1.1927 0.020
H 4.4042 -0.3362 0.1679 -0.015

[2]
16
Properties=species:S:1:pos:R:3:lowdin_charge:R:1 method="wB97M-V/def2-TZVPD" lumo_energy_ev="4.3 / 4.1" s_squared=0.753 homo_lumo_gap_ev="3.089 / 7.141" homo_energy_ev="1.178 / -3.055" total_charge=-1 spin_multiplicity=2
C -0.5723 -1.1511 0.7743 -0.296
C 0.2611 0.1550 1.1304 -0.207
C 0.4064 0.9266 -0.1770 -0.347
C 1.4156 0.6838 -2.3752 -0.366
N 1.0461 0.1761 -1.2735 -0.185
N -1.9666 -0.8889 1.1074 -0.048
H -0.2331 -2.0279 1.2796 0.077
H -0.6099 -1.3445 -0.3378 0.101
H -0.2816 0.6694 1.9022 0.076
H 1.1732 -0.3065 1.4116 0.067
H 0.9605 1.9450 -0.2288 0.103
H -0.6304 1.1742 -0.4262 0.057
H 2.0105 -0.0531 -3.0014 -0.014
H 1.6032 1.6577 -2.7359 -0.068
H -2.1727 0.0364 1.3886 0.025
H -2.4099 -1.6524 1.5616 0.027

[3]
16
Properties=species:S:1:pos:R:3:lowdin_charge:R:1 method="wB97M-V/def2-TZVPD" lumo_energy_ev=0.9 homo_lumo_gap_ev=10.368 homo_energy_ev=-9.440 total_charge=0
C -0.8116 0.6420 0.4935 -0.165
C 0.5234 0.9239 1.1752 -0.303
C 0.4747 -0.5856 -1.4605 -0.054
C -0.8072 -0.1694 -0.7903 -0.414
N 1.1711 -0.2551 1.7409 -0.007
N -1.9498 -0.5215 -1.2858 0.108
H -1.8313 -1.0748 -2.1423 0.043
H 1.5856 -0.8299 1.0115 0.047
H 0.4840 -0.8402 2.2165 0.072
H -1.2767 1.6049 0.2439 0.117
H -1.4903 0.1457 1.1991 0.115
H 1.2155 1.4304 0.4951 0.105
H 0.3409 1.6216 2.0009 0.105
H 0.8426 -1.5010 -0.9896 0.080
H 0.2995 -0.7894 -2.5208 0.078
H 1.2297 0.1983 -1.3873 0.073

[4]
16
Properties=species:S:1:pos:R:3:lowdin_charge:R:1 method="wB97M-V/def2-TZVPD" lumo_energy_ev=1.1 homo_lumo_gap_ev=9.624 homo_energy_ev=-8.531 total_charge=0 smiles="NC1CC1.C=N"
C -2.2990 -0.3078 0.4614 -0.137
C 0.8215 -0.8679 0.2837 -0.154
C 2.0468 -0.4867 -0.5029 -0.125
N -2.0838 0.8656 0.8501 0.024
C 0.7246 0.1016 -0.8714 -0.418
N 0.4678 1.4958 -0.6961 0.034
H -2.1617 1.0164 1.8545 0.054
H 1.0860 1.8810 0.0027 0.065
H -0.4876 1.6454 -0.3704 0.027
H -2.2279 -0.5056 -0.5998 0.063
H -2.5685 -1.1587 1.0943 0.074
H 0.7404 -0.4755 1.2878 0.091
H 0.4289 -1.8661 0.1722 0.085
H 2.7768 0.1561 -0.0292 0.096
H 2.4848 -1.2224 -1.1629 0.092
H 0.2510 -0.2712 -1.7742 0.127

[5]
16
Properties=species:S:1:pos:R:3:lowdin_charge:R:1 method="wB97M-V/def2-TZVPD" lumo_energy_ev="0.3 / 0.3" homo_lumo_gap_ev="8.439 / 8.441" homo_energy_ev="-8.142 / -8.145" total_charge=0
C -0.4088 1.2502 1.0442 -0.192
C 0.9615 1.1951 1.6901 -0.179
C -1.0747 -2.2578 -1.0572 -0.073

Merchandising categories at store level

We are about to begin working on an addition to Magento 1.14.2 EE that will allow us to merchandise and sort products within categories at a store level. currently we do this by having 3 entirely separate root category trees, our editors are finding this cumbersome, and our indexing takes 3x the time it should take to reindex a single tree.
The plan is to add a store_id column to the catalog_category_product table which currently stores the product_id, category_id and products position within the category in question.
So my questions are fairly general at this point, has anyone attempted this previously and are there any obvious pitfalls that we are likely to encounter as a result of attempting this? The solution to us seems fairly obvious yet it hasn't been implemented yet by Magento, surely this is a piece of functionality that would be useful for any company that has a presence in multiple countries.

Is there a way to sort a content query by the value of a field programmatically?

I'm working on a portal based on Orchard CMS. We're using Orchard to manage the "normal" content of the site, as well as to model what's essentially data for a small application embedded in it.
We figured that doing it that way is "recommended" for working in Orchard, and that it would save us duplicating a bunch of effort in features that Orchard already provides, mainly generating a good enough admin UI. This is also why we're using fields wherever possible.
However, for said application, the client wants to be able to display the data in the regular UI in a garden-variety datagrid that can be filtered, sorted, and paged.
I first tried to implement this by cobbling together a page with a bunch of form elements for the filtering, above a projection with filters bound to query string parameters. However, I ran into the following issues with this approach:
Filters for numeric fields crash when the value is missing - as would be pretty common to indicate that the given field shouldn't be considered when filtering. (This I could achieve by changing the implementation in the Orchard source, which would however make upgrading trickier later. I'd prefer to keep anything I haven't written untouched.)
It seems the sort order can only be defined in the administration UI, it doesn't seem to support tokens to allow for the field to sort by to be changed when querying.
So I decided to dump that approach and switched to trying to do this with just MVC controllers that access data using IContentQuery. However, there I found out that:
I have no clue how, if at all, it's possible to sort the query based on field values.
Or, for that matter, how / if I can filter.
I did take a look at the code of Orchard.Projections, however, how it handles sorting is pretty inscrutable to me, and there doesn't seem to be a straightforward way to change the sort order for just one query either.
So, is there any way to achieve what I need here with the rest of the setup (which isn't little) unchanged, or am I in a trap here, and I'll have to move every single property I wish to use for sorting / filtering into a content part and code the admin UI myself? (Or do something ludicrous, like create one query for every sortable property and direction.)
EDIT: Another thought I had was having my custom content part duplicate the fields that are displayed in the datagrids into Hibernate-backed properties accessible to query code, and whenever the content item is updated, copy values from these fields into the properties before saving. However, again, I'm not sure if this is feasible, and how I would be able to modify a content item just before it's saved on update.
Right so I have actually done a similar thing here to you. I ended up going down both approaches, creating some custom filters for projections so I could manage filters on the frontend. It turned out pretty cool but in the end projections lacked the raw querying power I needed (I needed to filter and sort based on joins to aggregated tables which I think I decided I didn't know how I could do that in projections, or if its nature of query building would allow it). I then decided to move all my data into a record so I could query and filter it. This felt like the right way to go about it, since if I was building a UI to filter records it made sense those records should be defined in code. However, I was sorting on users where each site had different registration data associated to users and (I think the following is a terrible affliction many Orchard devs suffer from) I wanted to build a reusable, modular system so I wouldn't have to change anything, ever!
Didn't really work out quite like I hoped, but to eventually answer the question in your title: yes, you can query fields. Orchard projections builds an index that it uses for querying fields. You can access these in HQL, get the ids of the content items, then call getmany to get them all. I did this several years ago, and I cant remember much but I do remember having a distinctly unenjoyable time with it haha. So after you have an nhibernate session you can write your hql
select distinct civr.Id
from Orchard.ContentManagement.Records.ContentItemVersionRecord civr
join civ.ContentItemRecord cir
join ci.FieldIndexPartRecord fipr
join fipr.StringFieldIndexRecord sfir
This just shows you how to join to the field indexes. There are a few, for each different data type. This is the string one I'm joining here. They are all basically the same, with a PropertyName and value field. Hql allows you to add conditions to your join so we can use that to join with the relevant field index records. If you have a part called Group attached directly to your content type then it would be like this:
join fipr.StringFieldIndexRecord sfir
with sfir.PropertyName = 'MyContentType.Group.'
where sfir.Value = 'HR'
If your field is attached to a part, replace MyContentType with the name of your part. Hql is pretty awesome, can learn more here: https://docs.jboss.org/hibernate/orm/3.3/reference/en/html/queryhql.html But I dunno, it gave me a headache haha. At least HQL has documentation though, unlike Orchard's query layer. Also can always fall back to pure SQL when HQL wont do what you want, there is an option to write SQL queries from the NHibernate session.
Your other option is to index your content types with lucene (easy if you are using fields) then filter and search by that. I quite liked using that, although sometimes indexes are corrupted, or need to be rebuilt etc. So I've found it dangerous to rely on it for something that populates pages regularly.
And pretty much whatever you do, one query to filter and sort, then another query to getmany on the contentmanager to get the content items is what you should accept is the way to go. Good luck!
You can use indexing and the Orchard Search API for this. Sebastien demoed something similar to what you're trying to achieve at Orchard Harvest recently: https://www.youtube.com/watch?v=7v5qSR4g7E0

optimizing ajax based search

**Between two parts of the text: calculated molecules**
+++
The following is a DFT calculation (ωB97M-V/def2-TZVPD) of 17 unconnected molecules or ions with the total composition C84H195N31O14P8.

frontier orbital gap = 0.2801 Ha
LUMO energy = 0.1 eV
highest occupied orbital energy = -7.495 eV

Each line ends with the Löwdin charge.
Atoms and positions in Å:
N -7.22 -29.12 -6.68  0.03
C -6.04 -29.69 -6.45  -0.15
C -5.20 -28.83 -5.70  -0.08
C -6.06 -27.72 -5.38  -0.12
C -7.27 -27.88 -6.04  -0.12
H -8.00 -29.49 -7.20  0.12
H -5.84 -30.68 -6.83  0.09
H -4.23 -28.99 -5.26  0.07
H -5.80 -26.94 -4.67  0.09
H -8.17 -27.29 -6.01  0.10
N -7.39 -28.16 -18.24  0.03
C -8.60 -28.76 -18.29  -0.16
C -8.48 -30.09 -18.41  -0.13
C -7.09 -30.41 -18.53  -0.09
C -6.45 -29.14 -18.47  -0.14
H -7.11 -27.20 -18.08  0.10
H -9.48 -28.13 -18.27  0.11
H -9.32 -30.78 -18.47  0.09
H -6.68 -31.37 -18.77  0.07
H -5.40 -28.87 -18.41  0.09
N -11.68 -34.63 -15.83  0.04
C -12.83 -34.93 -16.60  -0.11
C -12.66 -34.37 -17.88  -0.12
C -11.42 -33.68 -17.88  -0.13
C -10.87 -33.78 -16.59  -0.14
H -11.41 -35.10 -14.98  0.07
H -13.63 -35.51 -16.17  0.10
H -13.42 -34.39 -18.65  0.08
H -10.94 -33.13 -18.67  0.08
H -9.89 -33.49 -16.23  0.07
N -5.86 -35.23 -17.69  0.01
C -6.18 -34.02 -17.08  -0.14
C -7.53 -33.69 -17.27  -0.10
C -8.06 -34.79 -18.02  -0.08
C -6.98 -35.66 -18.30  -0.18
H -4.99 -35.73 -17.56  0.15
H -5.40 -33.46 -16.59  0.09
H -8.05 -32.79 -16.99  0.07
H -9.06 -34.86 -18.42  0.08
H -7.03 -36.61 -18.82  0.11
N -6.64 -36.43 -7.51  0.01
C -6.32 -35.68 -8.54  -0.15
C -7.51 -35.19 -9.18  -0.09
C -8.58 -35.59 -8.36  -0.13
C -8.01 -36.37 -7.34  -0.14
H -5.98 -36.85 -6.86  0.16
H -5.25 -35.58 -8.67  0.11
H -7.33 -34.53 -10.01  0.07
H -9.62 -35.30 -8.40  0.10
H -8.47 -36.86 -6.50  0.10
N -4.68 -27.17 -11.92  0.01
C -4.90 -25.85 -11.46  -0.12
C -5.34 -25.96 -10.13  -0.12
C -5.24 -27.30 -9.73  -0.08
C -4.88 -27.98 -10.92  -0.19
H -4.52 -27.52 -12.85  0.07
H -4.70 -25.01 -12.11  0.09
H -5.55 -25.12 -9.47  0.09
H -5.40 -27.67 -8.73  0.08
H -4.72 -29.03 -11.10  0.10
N -10.80 -30.26 -6.32  0.02
C -11.02 -29.46 -7.35  -0.14
C -10.58 -30.10 -8.55  -0.12
C -10.12 -31.36 -8.19  -0.12
C -10.18 -31.42 -6.83  -0.13
H -10.72 -29.94 -5.36  0.15
H -11.43 -28.50 -7.09  0.11
H -10.60 -29.79 -9.58  0.06
H -9.71 -32.09 -8.87  0.10
H -9.88 -32.15 -6.09  0.08
O -3.51 -28.40 -14.04  -0.29
P -2.07 -28.81 -14.13  0.64
N -0.90 -27.64 -13.52  -0.29
C 0.54 -27.98 -13.36  -0.10
C -1.27 -26.53 -12.65  -0.11
N -1.57 -28.97 -15.75  -0.29
C -2.42 -28.70 -16.88  -0.13
C -0.22 -29.61 -16.13  -0.07
N -1.73 -30.36 -13.53  -0.26
C -2.31 -31.54 -14.34  -0.05
C -1.73 -30.50 -12.08  -0.13
H 1.03 -27.36 -12.62  0.08
H 1.05 -27.97 -14.32  0.07
H 0.51 -28.99 -12.95  0.05
H -2.27 -26.21 -12.91  0.06
H -0.62 -25.67 -12.85  0.09
H -1.37 -26.95 -11.64  0.08
H -1.90 -28.82 -17.83  0.08
H -3.35 -29.27 -16.82  0.06
H -2.67 -27.64 -16.86  0.07
H -0.45 -30.36 -16.88  0.08
H 0.43 -28.84 -16.55  0.08
H 0.28 -30.02 -15.25  0.05
H -3.24 -31.27 -14.84  0.05
H -1.79 -31.87 -15.24  0.06
+++

I am doing a ajax based search which suggests the values from the database tables as the user inputs fields in the search box. It does work but its really very slow, takes more than 10 seconds minimum for any suggestions to load. how do I optimize this to make it fast..
Like Index it/save it in cache/crawl?
Right now autoSearch() js function is fired which retrieves data from the related table to load the suggestions. how do I make this faster?
I dont know if this will make a difference but I am using grails/groovy for application development.
Have you added an index to any searched fields (or checked in the database to make sure the examined fields are indexed)?
The Grails GORM does not automatically create indices for text fields unless you add the appropriate static mapping to your domain class.
